Post: You’re Not Too Young To Lead

It’s on us to empower the future.


I’ve heard people described before as “natural leaders.” These people normally fit a pretty common mold: charismatic, intelligent, and confident. I think about that photo of Theodore Roosevelt riding a swimming moose across a river (it’s a short Google away). It’s the portrait of rustic regality, as a man temporarily tames a wild animal to ferry him across a rushing mountain river.

Forget that this photo was later proved to be falsified, but that guy has to be a natural leader, right? He checks all the boxes! Charismatic? Try telling me you’re not going to be convinced of anything someone tells you from moose-back. Intelligent? Calculating the river to be perfect moose riding depth is pretty astute. Confident? Come on. The man’s riding a moose. If ever there was a natural born leader, the person in that photograph is one.

Amazing photography aside though, I’m not convinced that someone can be automatically born a leader. It takes time and opportunity to develop the skills needed to inspire people to follow you. People are not born as leaders, but rather they become them over time. But more importantly than that, they must be given the opportunities to lead.

**Between two parts of the page: quantum chemistry results**
<<<
This record from OMol25 describes a molecular structure, C64H39I4N5SSr. The level of theory is ωB97M-V/def2-TZVPD.

Results
- total charge = -2
- HOMO-LUMO gap (spin up / spin down) (eV) = 4.94 / 4.94
- HOMO level (spin up / spin down) (eV) = -2.01 / -2.01

The geometry in XYZ format:
```
114
C64H39I4N5SSr (ωB97M-V/def2-TZVPD)
Sr 0.058 -0.439 -0.142
I 2.958 1.844 9.158
C 2.491 1.713 7.156
C 2.070 0.483 6.683
C 1.760 0.345 5.339
C 1.928 1.429 4.458
C 2.378 2.656 4.956
C 2.645 2.800 6.310
C 1.621 1.290 2.997
C 0.549 2.032 2.475
C -0.259 3.007 3.235
C -1.210 3.469 2.393
C -1.030 2.761 1.109
C -1.774 3.032 -0.065
C -2.889 4.023 0.093
C -4.202 3.574 0.246
C -5.250 4.468 0.395
C -4.948 5.815 0.410
I -6.487 7.219 0.746
C -3.657 6.310 0.267
C -2.614 5.402 0.112
C -1.478 2.527 -1.374
N -0.559 1.602 -1.728
C -0.476 1.569 -3.078
C 0.471 0.861 -3.821
C 0.376 1.024 -5.321
C -0.493 0.243 -6.063
C -0.592 0.381 -7.437
C 0.223 1.283 -8.107
I -0.006 1.608 -10.174
C 1.108 2.078 -7.388
C 1.178 1.965 -6.012
C 1.573 0.098 -3.342
C 2.643 -0.408 -4.166
C 3.577 -0.944 -3.321
C 3.070 -0.707 -1.971
N 1.851 -0.138 -2.043
C 3.796 -0.977 -0.777
C 3.483 -0.597 0.533
C 4.304 -0.839 1.710
C 3.675 -0.248 2.741
C 2.452 0.394 2.216
N 2.366 0.137 0.905
C 5.149 -1.627 -0.978
C 5.242 -3.012 -1.087
C 6.475 -3.625 -1.208
C 7.631 -2.840 -1.205
I 9.492 -3.800 -1.372
C 7.575 -1.462 -1.188
C 6.305 -0.848 -1.043
C -1.436 2.530 -3.657
C -2.070 3.089 -2.592
N 0.045 1.951 1.206
H 1.932 -0.328 7.374
H 1.321 -0.585 4.979
H 2.507 3.468 4.262
H 3.008 3.749 6.717
H -0.156 3.301 4.258
H -2.030 4.110 2.639
H -4.375 2.523 0.215
H -6.252 4.164 0.530
H -3.469 7.374 0.247
H -1.580 5.719 0.004
H -1.114 -0.468 -5.555
H -1.306 -0.199 -7.974
H 1.684 2.820 -7.901
H 1.840 2.618 -5.432
H 2.700 -0.416 -5.247
H 4.545 -1.389 -3.574
H 5.224 -1.421 1.787
H 3.999 -0.238 3.774
H 4.319 -3.586 -1.042
H 6.540 -4.696 -1.303
H 8.452 -0.832 -1.244
H 6.239 0.234 -1.081
H -1.633 2.724 -4.704
H -2.846 3.838 -2.602
C -1.698 -0.255 2.948
C -1.296 -1.657 3.042
C -1.773 -2.394 4.150
C -1.519 -3.738 4.175
C -0.791 -4.343 3.151
C -0.538 -5.728 3.146
C 0.166 -6.289 2.115
C 0.653 -5.487 1.096
C 0.460 -4.103 1.020
S 1.243 -3.178 -0.215
C -0.306 -3.507 2.092
N -0.595 -2.168 2.072
H -2.766 -0.229 2.730
H -1.195 0.229 2.117
H -1.484 0.353 3.811
H -2.394 -1.935 4.880
H -1.905 -4.366 4.967
H -0.957 -6.315 3.956
H 0.333 -7.347 2.109
H 1.190 -5.932 0.275
C -6.311 -1.122 0.279
C -5.214 -0.373 0.786
C -3.978 -0.439 0.200
C -3.703 -1.250 -0.921
C -2.369 -1.386 -1.421
C -2.285 -2.164 -2.556
C -3.388 -2.814 -3.153
C -4.650 -2.774 -2.590
C -4.846 -1.976 -1.459
C -6.104 -1.903 -0.818
H -7.314 -1.101 0.755
H -5.355 0.271 1.659
H -3.106 0.081 0.556
H -1.328 -2.289 -3.024
H -3.192 -3.429 -4.018
H -5.440 -3.414 -2.983
H -6.885 -2.516 -1.245
```

Mulliken population analysis, charges in e, atoms 1 to 8: Sr 1.11; I 0.04; C 0.08; C -0.76; C -0.24; C -0.50; C -0.25; C -0.69

----------
>>>

One of the things I love most about my job is being able to help young people recognize and realize the capacity for leadership within each of them. While I don’t believe a person is born a leader, I firmly believe that each of us is born with the capacity to be a leader. It’s something that I try to teach my youth group at every opportunity. Each of us, through our God given gifts, talents, and passions, has the ability to be a leader in our lives.

But do we really take this identity seriously? Do we really value the capacity for leadership within people, and specifically within young people? I’m not sure that we do. Many times we’re scared to lead because the society around us has conditioned us to not stick our necks out too far lest we become an easy target. Think about when you were in school. It’s not cool to be the confident student who is willing to give an answer when asked. Someone that raises their hand one too many times begins to hear faint whispers behind them and stifled chuckles. Hermione Granger was not the coolest witch at Hogwarts.

Even in churches, where young people should be not only allowed but also encouraged to realize the leader inside of them, we fall short. Too often in our churches we relegate young people to the role of “the next generation.” We tell them how important they are to the life of the church in the future and how one day it will all be on them. This is true, but it is a toxic truth. It denies young people the opportunity in the present to develop the leadership skills they need to become that next generation.

When God called Jeremiah to be a prophet, he was hesitant to believe in himself because of his youth. “Truly I do not know how to speak,” he says in Jeremiah 1:6, “for I am only a boy.” God does not deny his youth, but does not agree with him either. Rather, God encourages him that “I am with you to deliver you” (1:8). Even before that, God told Jeremiah that before he was born he had been consecrated; the tools he needed to be the leader God wanted him to be were built into God’s design for Jeremiah. The same is true for young people today! God has equipped each of them, in the very fabric of who they are, with the tools they need to lead.

• Data records, kept here for reference:
(1)
C13H52N26O13 | the ωB97M-V functional and the def2-TZVPD basis

Each line ends with the Löwdin charge.
CARTESIAN COORDINATES (ANGSTROEM)
C: 2.637 0.482 4.195  -0.67
O: 2.214 0.112 3.087  -0.02
N: 3.341 -0.305 5.043  0.18
N: 2.599 1.785 4.487  0.18
H: 3.518 -0.012 5.986  0.10
H: 3.368 -1.269 4.747  0.11
H: 2.039 2.302 3.821  0.08
H: 3.014 2.235 5.283  0.11
C: 2.303 -4.514 2.622  -0.71
O: 3.169 -5.411 2.633  -0.04
N: 1.595 -4.278 3.740  0.16
N: 1.974 -3.885 1.490  0.18
H: 0.834 -3.615 3.778  0.05
H: 1.859 -4.869 4.507  0.10
H: 2.488 -4.331 0.747  0.11
H: 1.195 -3.250 1.444  0.06
C: -2.870 -1.738 -3.562  -0.70
O: -2.142 -2.028 -4.521  0.01
N: -4.029 -1.070 -3.676  0.17
N: -2.493 -2.119 -2.333  0.17
H: -4.671 -1.059 -2.894  0.09
H: -4.343 -0.995 -4.630  0.13
H: -3.140 -1.922 -1.574  0.08
H: -2.009 -3.005 -2.478  0.11
C: -2.278 -4.757 -0.534  -0.70
O: -1.541 -4.891 -1.519  -0.01
N: -1.990 -4.039 0.555  0.18
N: -3.551 -5.214 -0.522  0.15
H: -1.177 -3.436 0.507  0.06
H: -2.496 -4.213 1.403  0.09
H: -3.844 -5.707 -1.348  0.11
H: -4.120 -5.120 0.298  0.09
C: 2.835 -1.112 -2.811  -0.72
O: 2.699 -1.265 -4.032  -0.01
N: 3.585 -0.128 -2.284  0.16
N: 2.292 -1.937 -1.917  0.19
H: 4.030 -0.170 -1.365  0.04
H: 4.049 0.458 -2.959  0.10
H: 1.619 -2.646 -2.149  0.12
H: 2.344 -1.641 -0.954  0.08
C: 4.777 1.274 0.592  -0.66
O: 4.320 0.168 0.323  0.02
N: 4.521 1.856 1.797  0.18
N: 5.582 1.989 -0.227  0.16
H: 5.116 2.525 2.250  0.10
H: 3.877 1.305 2.350  0.06
H: 6.011 1.333 -0.864  0.11
H: 6.063 2.819 0.069  0.10
C: 2.251 3.348 -1.453  -0.62
O: 1.473 2.675 -0.779  -0.03
N: 3.132 4.262 -0.957  0.15
N: 2.406 3.343 -2.820  0.17
H: 3.766 4.674 -1.610  0.09
H: 3.254 4.497 0.013  0.10
H: 1.685 2.751 -3.249  0.06
H: 3.096 3.906 -3.267  0.10
C: -2.241 -2.458 3.487  -0.70
O: -1.142 -2.930 3.809  -0.01
N: -2.307 -1.515 2.532  0.18
N: -3.387 -2.779 4.138  0.16
H: -3.243 -1.230 2.297  0.09
H: -1.447 -1.365 2.021  0.07
H: -4.182 -2.170 4.080  0.10
H: -3.296 -3.603 4.707  0.11
C: -4.219 0.159 -0.531  -0.67
O: -4.669 -0.994 -0.634  -0.02
N: -3.522 0.805 -1.474  0.19
N: -4.322 0.878 0.593  0.17
H: -3.362 0.395 -2.387  0.06
H: -2.943 1.601 -1.232  0.06
H: -5.064 0.757 1.263  0.11
H: -3.949 1.812 0.729  0.07
C: -2.518 3.628 -0.886  -0.72
O: -2.948 3.480 0.261  0.00
N: -1.265 3.309 -1.249  0.19
N: -3.281 4.048 -1.906  0.17
H: -0.694 2.952 -0.498  0.08
H: -1.020 3.265 -2.225  0.08
H: -4.237 4.312 -1.744  0.12
H: -2.852 4.311 -2.775  0.10
C: 0.071 -0.767 0.121  -0.65
O: -0.083 -1.853 0.717  -0.05
N: -0.425 -0.438 -1.094  0.20
N: 0.930 0.124 0.590  0.17
H: -0.296 0.534 -1.316  0.08
H: -1.132 -1.051 -1.471  0.05
H: 1.283 0.744 -0.130  0.07
H: 1.502 -0.024 1.412  0.07
C: -0.557 1.318 -4.222  -0.66
O: 0.179 2.319 -4.174  -0.03
N: -1.876 1.435 -4.528  0.17
N: -0.140 0.059 -4.061  0.22
H: -2.284 0.544 -4.761  0.08
H: -2.128 2.369 -4.799  0.11
H: 0.814 -0.227 -3.885  0.08
H: -0.821 -0.676 -4.208  0.06
C: -0.145 3.359 2.708  -0.71
O: -0.691 4.077 3.532  0.02
N: -0.565 2.143 2.339  0.19

The weight of responsibility then falls upon the mentors, teachers, pastors, and we who guide young people in their lives to cultivate those tools. Is it an easy process? Surely not. Will there be missteps and times of frustration? Most definitely. But if we are afraid of their failures, then how can we expect them not to be?

Young people are the future leaders of our churches and of our society at large, however they are also leaders now. We must give them the opportunities to be those leaders. We must endure alongside them the hardships and growing pains that come with developing their God-given talents and skills. We must trust in them as God trusts in them, and not hold back the leaders He has already equipped.

Picture of Josh Godwin

Josh Godwin

Calculated molecules, kept here for reference
{
  "formula": "C21H36FN2O7P",
  "method": "ωB97M-V with the def2-TZVPD basis set",
  "elements": ["H", "H", "H", "H", "H", "H", "H", "H", "C", "O", "H", "N", "O", "C", "C", "C", "C", "O", "H", "O", "H", "C", "H", "C", "H", "H", "F", "C", "H", "C", "C", "C", "C", "C", "C", "H", "H", "C", "C", "H", "C", "C", "C", "H", "P", "H", "H", "H", "O", "O", "H", "C", "H", "H", "H", "H", "H", "N", "H", "H", "H", "H", "H", "C", "O", "H", "H", "H"],
  "xyz": [[-0.33258, 4.45321, 3.39849], [1.97885, -3.54393, -0.83277], [5.23713, -3.06682, 1.30457], [1.67961, 0.87675, 1.02348], [0.63610, -0.22572, 1.87758], [-2.84541, 3.25118, 2.39573], [-1.77636, 3.49129, 0.22529], [-1.94571, 5.18910, 2.96449], [2.08465, -2.42270, 1.80934], [-3.08036, 2.91256, -3.82414], [3.97217, -3.10294, -2.16702], [-2.00781, 0.28537, 1.29259], [-4.04140, -3.01287, 1.84270], [-3.51686, 3.97343, -1.66042], [3.54054, -2.26392, -1.61795], [-1.75542, 1.31898, 0.44627], [-1.13871, 4.51105, 2.66381], [-3.30775, -1.33397, -3.27266], [6.38577, -1.15612, -0.01244], [-1.53503, -3.12083, 2.17196], [-2.82272, 4.81159, -1.79096], [-1.85424, 1.10624, -0.92555], [5.65330, -0.56760, -1.50971], [-1.34185, 2.75015, 0.89981], [2.80446, -2.39079, 2.62878], [6.27145, -2.20077, -1.42742], [0.06062, 2.84950, 0.81207], [2.28411, -1.22898, 0.84966], [-3.75251, 1.91705, -2.17037], [5.75057, -1.43312, -0.85537], [-2.40943, -1.19892, -0.47992], [4.39320, -1.96028, -0.37859], [-2.33891, -0.93627, 0.86608], [1.67937, -0.04458, 1.60578], [4.74083, -3.27264, 0.35483], [1.41452, -0.54498, -1.01083], [-1.94236, 0.43885, 2.29879], [2.07507, -2.56466, -1.30876], [-1.62218, 2.21251, -1.95167], [3.57145, -1.40746, -2.30051], [-1.75656, 3.10243, 2.33036], [1.47540, -1.47269, -0.42741], [-2.28045, -0.54126, -2.86578], [1.08756, -2.39729, 2.25179], [-2.67757, -2.23299, 2.14099], [-2.94149, -1.81866, -4.03142], [-3.68476, -0.86389, 3.44559], [-0.71357, 4.95834, 1.75290], [-1.45014, -0.17959, -3.67005], [3.87443, 0.19701, 0.10533], [-1.04142, 3.03788, -1.52177], [-3.02517, 2.71845, -2.42028], [-4.74362, -2.43873, 1.49626], [-2.65621, -2.21393, -0.79024], [-4.51208, 4.22292, -2.05440], [1.51114, -2.62697, -2.24343], [-1.42869, 2.36271, 3.07528], [3.72984, -1.01454, 0.56967], [-1.02407, 1.84755, -2.79406], [2.15709, -3.39247, 1.32409], [-3.98165, 2.70297, -4.09357], [-3.67237, 3.69164, -0.60715], [0.44456, -1.73940, -0.16789], [-2.17952, -0.17932, -1.40310], [-2.89278, -1.42241, 3.52762], [2.22906, 0.12997, 2.53269], [5.42551, -3.87431, -0.24345], [3.88135, -3.91133, 0.54636]],
The article goes on

There a handful of things in this life I truly love: my God, my wife, my dog, my town, my Cheerwine. I also love ministering with teenagers to help them realize God's love and everything God made them to be.